Please duplicate the block below without altering anything.

........
The following is a PBE calculation of an optimized crystal structure of CaCd2Cl6O6, from the Materials Project database.

a = 8.135 Å, b = 9.169 Å, c = 9.656 Å
α = 77.51°, β = 89.30°, γ = 78.58°
Sites, in units of the cell vectors:
1 Ca 0.174 0.122 0.141
2 Ca 0.826 0.878 0.859
3 Cd 0.152 0.454 0.684
4 Cd 0.366 0.568 0.308
5 Cd 0.634 0.432 0.692
6 Cd 0.848 0.546 0.316
7 Cl 0.094 0.660 0.445
8 Cl 0.131 0.398 0.209
9 Cl 0.190 0.198 0.870
10 Cl 0.267 0.831 0.120
11 Cl 0.378 0.536 0.821
12 Cl 0.415 0.329 0.538
13 Cl 0.585 0.671 0.462
14 Cl 0.622 0.464 0.179
15 Cl 0.733 0.169 0.880
16 Cl 0.810 0.802 0.130
17 Cl 0.869 0.602 0.791
18 Cl 0.906 0.340 0.555
19 O 0.059 0.999 0.717
20 O 0.142 0.865 0.747
21 O 0.190 0.046 0.525
22 O 0.273 0.915 0.550
23 O 0.495 0.161 0.173
24 O 0.499 0.026 0.236
25 O 0.501 0.974 0.764
26 O 0.505 0.839 0.827
27 O 0.727 0.085 0.450
28 O 0.810 0.954 0.475
29 O 0.858 0.135 0.253
30 O 0.941 0.001 0.283

Results
Space-group type   P-1 (2)
ΔE_f   -0.852 eV per atom
Electronic total energy   -56.44 eV/f.u.

The following is a PBE calculation of an optimized crystal structure of Ca6Cd32Cu, from the Materials Project database.

a = 9.730 Å, b = 9.730 Å, c = 9.730 Å
α = 90.00°, β = 90.00°, γ = 90.00°
Sites, in units of the cell vectors:
1 Ca 0.000 0.297 0.500
2 Ca 0.000 0.703 0.500
3 Ca 0.297 0.500 0.000
4 Ca 0.500 0.000 0.297
5 Ca 0.500 0.000 0.703
6 Ca 0.703 0.500 0.000
7 Cd 0.000 0.000 0.243
8 Cd 0.000 0.000 0.757
9 Cd 0.000 0.243 0.000
10 Cd 0.000 0.500 0.179
11 Cd 0.000 0.500 0.821
12 Cd 0.000 0.757 0.000
13 Cd 0.179 0.000 0.500
14 Cd 0.219 0.219 0.219
15 Cd 0.219 0.219 0.781
16 Cd 0.219 0.781 0.219
17 Cd 0.219 0.781 0.781
18 Cd 0.242 0.500 0.351
19 Cd 0.242 0.500 0.649
20 Cd 0.243 0.000 0.000
21 Cd 0.351 0.242 0.500
22 Cd 0.351 0.758 0.500
23 Cd 0.500 0.179 0.000
24 Cd 0.500 0.351 0.242
25 Cd 0.500 0.351 0.758
26 Cd 0.500 0.649 0.242
27 Cd 0.500 0.649 0.758
28 Cd 0.500 0.821 0.000
29 Cd 0.649 0.242 0.500
30 Cd 0.649 0.758 0.500
31 Cd 0.757 0.000 0.000
32 Cd 0.758 0.500 0.351
33 Cd 0.758 0.500 0.649
34 Cd 0.781 0.219 0.219
35 Cd 0.781 0.219 0.781
36 Cd 0.781 0.781 0.219
37 Cd 0.781 0.781 0.781
38 Cd 0.821 0.000 0.500
39 Cu 0.500 0.500 0.500

Results
Space-group type   Pm-3 (200)
ΔE_f   -0.184 eV per atom
Electronic total energy   -52.84 eV/f.u.

The following is a PBE calculation of an optimized crystal structure of Ca20Cd3Ga9, from the Materials Project database.

a = 8.103 Å, b = 8.103 Å, c = 14.739 Å
α = 90.00°, β = 90.00°, γ = 90.00°
Sites, in units of the cell vectors:
1 Ca 0.000 0.000 0.247
2 Ca 0.000 0.000 0.753
3 Ca 0.166 0.319 0.106
4 Ca 0.166 0.681 0.894
5 Ca 0.171 0.328 0.391
6 Ca 0.171 0.672 0.609
7 Ca 0.319 0.166 0.894
8 Ca 0.319 0.834 0.106
9 Ca 0.328 0.171 0.609
10 Ca 0.328 0.829 0.391
11 Ca 0.500 0.500 0.247
12 Ca 0.500 0.500 0.753
13 Ca 0.672 0.171 0.391
14 Ca 0.672 0.829 0.609
15 Ca 0.681 0.166 0.106
16 Ca 0.681 0.834 0.894
17 Ca 0.829 0.328 0.609
18 Ca 0.829 0.672 0.391
19 Ca 0.834 0.319 0.894
20 Ca 0.834 0.681 0.106
21 Cd 0.000 0.000 0.500
22 Cd 0.500 0.500 0.000
23 Cd 0.500 0.500 0.500
24 Ga 0.000 0.000 0.000
25 Ga 0.115 0.387 0.751
26 Ga 0.115 0.613 0.249
27 Ga 0.387 0.115 0.249
28 Ga 0.387 0.885 0.751
29 Ga 0.613 0.115 0.751
30 Ga 0.613 0.885 0.249
31 Ga 0.885 0.387 0.249
32 Ga 0.885 0.613 0.751

Results
Space-group type   P422 (89)
ΔE_f   -0.362 eV per atom
Electronic total energy   -81.71 eV/f.u.
........

The following is a PBE calculation of an optimized crystal structure of CaCd2Cl6O6, from the Materials Project database.

a = 8.135 Å, b = 9.169 Å, c = 9.656 Å
α = 77.51°, β = 89.30°, γ = 78.58°
Sites, in units of the cell vectors:
1 Ca 0.174 0.122 0.141
2 Ca 0.826 0.878 0.859
3 Cd 0.152 0.454 0.684
4 Cd 0.366 0.568 0.308
5 Cd 0.634 0.432 0.692
6 Cd 0.848 0.546 0.316
7 Cl 0.094 0.660 0.445
8 Cl 0.131 0.398 0.209
9 Cl 0.190 0.198 0.870
10 Cl 0.267 0.831 0.120
11 Cl 0.378 0.536 0.821
12 Cl 0.415 0.329 0.538
13 Cl 0.585 0.671 0.462
14 Cl 0.622 0.464 0.179
15 Cl 0.733 0.169 0.880
16 Cl 0.810 0.802 0.130
17 Cl 0.869 0.602 0.791
18 Cl 0.906 0.340 0.555
19 O 0.059 0.999 0.717
20 O 0.142 0.865 0.747
21 O 0.190 0.046 0.525
22 O 0.273 0.915 0.550
23 O 0.495 0.161 0.173
24 O 0.499 0.026 0.236
25 O 0.501 0.974 0.764
26 O 0.505 0.839 0.827
27 O 0.727 0.085 0.450
28 O 0.810 0.954 0.475
29 O 0.858 0.135 0.253
30 O 0.941 0.001 0.283

Results
Space-group type   P-1 (2)
ΔE_f   -0.852 eV per atom
Electronic total energy   -56.44 eV/f.u.

The following is a PBE calculation of an optimized crystal structure of Ca6Cd32Cu, from the Materials Project database.

a = 9.730 Å, b = 9.730 Å, c = 9.730 Å
α = 90.00°, β = 90.00°, γ = 90.00°
Sites, in units of the cell vectors:
1 Ca 0.000 0.297 0.500
2 Ca 0.000 0.703 0.500
3 Ca 0.297 0.500 0.000
4 Ca 0.500 0.000 0.297
5 Ca 0.500 0.000 0.703
6 Ca 0.703 0.500 0.000
7 Cd 0.000 0.000 0.243
8 Cd 0.000 0.000 0.757
9 Cd 0.000 0.243 0.000
10 Cd 0.000 0.500 0.179
11 Cd 0.000 0.500 0.821
12 Cd 0.000 0.757 0.000
13 Cd 0.179 0.000 0.500
14 Cd 0.219 0.219 0.219
15 Cd 0.219 0.219 0.781
16 Cd 0.219 0.781 0.219
17 Cd 0.219 0.781 0.781
18 Cd 0.242 0.500 0.351
19 Cd 0.242 0.500 0.649
20 Cd 0.243 0.000 0.000
21 Cd 0.351 0.242 0.500
22 Cd 0.351 0.758 0.500
23 Cd 0.500 0.179 0.000
24 Cd 0.500 0.351 0.242
25 Cd 0.500 0.351 0.758
26 Cd 0.500 0.649 0.242
27 Cd 0.500 0.649 0.758
28 Cd 0.500 0.821 0.000
29 Cd 0.649 0.242 0.500
30 Cd 0.649 0.758 0.500
31 Cd 0.757 0.000 0.000
32 Cd 0.758 0.500 0.351
33 Cd 0.758 0.500 0.649
34 Cd 0.781 0.219 0.219
35 Cd 0.781 0.219 0.781
36 Cd 0.781 0.781 0.219
37 Cd 0.781 0.781 0.781
38 Cd 0.821 0.000 0.500
39 Cu 0.500 0.500 0.500

Results
Space-group type   Pm-3 (200)
ΔE_f   -0.184 eV per atom
Electronic total energy   -52.84 eV/f.u.

The following is a PBE calculation of an optimized crystal structure of Ca20Cd3Ga9, from the Materials Project database.

a = 8.103 Å, b = 8.103 Å, c = 14.739 Å
α = 90.00°, β = 90.00°, γ = 90.00°
Sites, in units of the cell vectors:
1 Ca 0.000 0.000 0.247
2 Ca 0.000 0.000 0.753
3 Ca 0.166 0.319 0.106
4 Ca 0.166 0.681 0.894
5 Ca 0.171 0.328 0.391
6 Ca 0.171 0.672 0.609
7 Ca 0.319 0.166 0.894
8 Ca 0.319 0.834 0.106
9 Ca 0.328 0.171 0.609
10 Ca 0.328 0.829 0.391
11 Ca 0.500 0.500 0.247
12 Ca 0.500 0.500 0.753
13 Ca 0.672 0.171 0.391
14 Ca 0.672 0.829 0.609
15 Ca 0.681 0.166 0.106
16 Ca 0.681 0.834 0.894
17 Ca 0.829 0.328 0.609
18 Ca 0.829 0.672 0.391
19 Ca 0.834 0.319 0.894
20 Ca 0.834 0.681 0.106
21 Cd 0.000 0.000 0.500
22 Cd 0.500 0.500 0.000
23 Cd 0.500 0.500 0.500
24 Ga 0.000 0.000 0.000
25 Ga 0.115 0.387 0.751
26 Ga 0.115 0.613 0.249
27 Ga 0.387 0.115 0.249
28 Ga 0.387 0.885 0.751
29 Ga 0.613 0.115 0.751
30 Ga 0.613 0.885 0.249
31 Ga 0.885 0.387 0.249
32 Ga 0.885 0.613 0.751

Results
Space-group type   P422 (89)
ΔE_f   -0.362 eV per atom
Electronic total energy   -81.71 eV/f.u.